-- Data --
~~~
Record 1
Here is a relaxed structure of SrTlO3 from Materials Project. Energies are from GGA-PBE.

Lattice parameters (Å, degrees): 4.280 4.280 4.280 90.00 90.00 90.00
Element x y z (fractional)
O 0.500 0.500 0.000
O 0.500 0.000 0.500
O 0.000 0.500 0.500
Sr 0.000 0.000 0.000
Tl 0.500 0.500 0.500

Results
DFT formation energy, meV per atom: -1627
Total moment, Bohr magnetons per cell: 0.001
Mass density, g/cm3: 7.20

=====

Record 2
Here is a relaxed structure of SrInPt from Materials Project. Energies are from GGA-PBE.

Lattice parameters (Å, degrees): 4.569 7.662 8.625 90.00 90.00 90.00
Element x y z (fractional)
Sr 0.750 0.470 0.821
Sr 0.250 0.030 0.321
Sr 0.750 0.970 0.679
Sr 0.250 0.530 0.179
Pt 0.250 0.778 0.879
Pt 0.250 0.278 0.621
Pt 0.750 0.222 0.121
Pt 0.750 0.722 0.379
In 0.250 0.647 0.565
In 0.250 0.147 0.935
In 0.750 0.353 0.435
In 0.750 0.853 0.065

Results
DFT formation energy, meV per atom: -765
Mass density, g/cm3: 8.75
~~~

-- Exercise --
Your job: type out everything further up exactly.

-- Done --
Record 1
Here is a relaxed structure of SrTlO3 from Materials Project. Energies are from GGA-PBE.

Lattice parameters (Å, degrees): 4.280 4.280 4.280 90.00 90.00 90.00
Element x y z (fractional)
O 0.500 0.500 0.000
O 0.500 0.000 0.500
O 0.000 0.500 0.500
Sr 0.000 0.000 0.000
Tl 0.500 0.500 0.500

Results
DFT formation energy, meV per atom: -1627
Total moment, Bohr magnetons per cell: 0.001
Mass density, g/cm3: 7.20

=====

Record 2
Here is a relaxed structure of SrInPt from Materials Project. Energies are from GGA-PBE.

Lattice parameters (Å, degrees): 4.569 7.662 8.625 90.00 90.00 90.00
Element x y z (fractional)
Sr 0.750 0.470 0.821
Sr 0.250 0.030 0.321
Sr 0.750 0.970 0.679
Sr 0.250 0.530 0.179
Pt 0.250 0.778 0.879
Pt 0.250 0.278 0.621
Pt 0.750 0.222 0.121
Pt 0.750 0.722 0.379
In 0.250 0.647 0.565
In 0.250 0.147 0.935
In 0.750 0.353 0.435
In 0.750 0.853 0.065

Results
DFT formation energy, meV per atom: -765
Mass density, g/cm3: 8.75